## File
┌──
[1]
Starting from the GGA-PBE geometry in the Materials Project, the X-ray diffraction stick pattern of Rb3NbH4C6O15 was computed for Cu Kα.
Peak positions follow from Bragg's law for the DFT cell and can differ from measured ones.

Atomic structure:
Cell lengths 8.093, 9.160, 11.699 Å; angles 78.94, 87.00, 86.42 degrees
Space group P-1 (No. 2)
One atom of each set of equivalent atoms:
Rb 0.015 0.241 0.369 x2
Rb 0.146 0.329 0.928 x2
Rb 0.379 0.035 0.650 x2
Nb 0.322 0.626 0.168 x2
H 0.037 0.056 0.131 x2
H 0.166 0.412 0.593 x2
H 0.221 0.096 0.147 x2
H 0.258 0.501 0.486 x2
C 0.071 0.752 0.331 x2
C 0.235 0.820 0.354 x2
C 0.265 0.897 0.972 x2
C 0.423 0.622 0.746 x2
C 0.428 0.346 0.341 x2
C 0.451 0.848 0.960 x2
O 0.063 0.217 0.618 x2
O 0.085 0.661 0.259 x2
O 0.104 0.127 0.159 x2
O 0.193 0.821 0.064 x2
O 0.199 0.998 0.900 x2
O 0.212 0.510 0.564 x2
O 0.220 0.513 0.091 x2
O 0.238 0.904 0.425 x2
O 0.302 0.710 0.748 x2
O 0.314 0.455 0.329 x2
O 0.360 0.777 0.292 x2
O 0.419 0.229 0.413 x2
O 0.443 0.493 0.817 x2
O 0.456 0.089 0.119 x2
O 0.495 0.737 0.041 x2

Most intense lines, 15° ≤ 2θ ≤ 90°, sorted by position:
5.311 Å, I = 81, hkl 0 1 2; 3.913 Å, I = 84, hkl 0 2 2; 3.701 Å, I = 100, hkl 2 1 1; 3.035 Å, I = 60, hkl 1 2 -2; 2.924 Å, I = 80, hkl 2 -2 0; 2.270 Å, I = 61, hkl -2 3 2



[2]
Starting from the GGA-PBE geometry in the Materials Project, the X-ray diffraction stick pattern of NdH3C3O6 was computed for Cu Kα.
Peak positions follow from Bragg's law for the DFT cell and can differ from measured ones.

Atomic structure:
Cell lengths 10.7002, 10.7002, 4.1224 Å; angles 90.00, 90.00, 120.00 degrees
Space group R3m (No. 160, hexagonal axes)
One atom of each set of equivalent atoms:
Nd 0.0000 0.0000 0.0000 x3
H 0.1720 0.3441 0.2066 x9
C 0.0270 0.5135 0.1274 x9
O 0.0848 0.1696 0.5050 x9
O 0.1995 0.3989 0.6858 x9

Most intense lines, 15° ≤ 2θ ≤ 90°, sorted by position:
5.350 Å, I = 100, hkl 1 1 0; 3.766 Å, I = 31, hkl 1 0 1; 3.082 Å, I = 45, hkl 0 2 1; 2.672 Å, I = 78, hkl 2 2 0; 2.181 Å, I = 29, hkl 1 3 1; 2.021 Å, I = 26, hkl 4 0 1



[3]
Starting from the GGA-PBE geometry in the Materials Project, the X-ray diffraction stick pattern of NdHCO4 was computed for Cu Kα.
Peak positions follow from Bragg's law for the DFT cell and can differ from measured ones.

Atomic structure:
Cell lengths 4.991, 7.337, 8.664 Å; angles 90.00, 90.00, 90.00 degrees
Space group P2_12_12_1 (No. 19)
One atom of each set of equivalent atoms:
Nd 0.002 0.108 0.164 x4
H 0.105 0.747 0.027 x4
C 0.001 0.554 0.676 x4
O 0.001 0.957 0.699 x4
O 0.008 0.290 0.388 x4
O 0.222 0.098 0.891 x4
O 0.228 0.598 0.613 x4

Most intense lines, 15° ≤ 2θ ≤ 90°, sorted by position:
4.326 Å, I = 100, hkl 1 0 1; 3.728 Å, I = 72, hkl 0 1 2; 3.378 Å, I = 36, hkl 0 2 1; 2.956 Å, I = 52, hkl 1 2 0; 2.366 Å, I = 38, hkl 1 1 3; 2.075 Å, I = 45, hkl 2 1 2


Diffraction record for MnCrInO4. The powder diffraction line list is calculated, not measured: it uses a GGA+U-relaxed structure and Cu Kα (weighted mean of Kα1 and Kα2).

The 10 most intense peaks (2θ = 10–80°), in order of rising 2θ:
| two_theta | I_rel | h k l |
| --- | --- | --- |
| 17.44 | 55.3 | 1 0 1 |
| 28.36 | 18.1 | 1 1 2 |
| 28.84 | 18.5 | 2 0 0 |
| 33.20 | 100.0 | 1 2 1 |
| 33.42 | 43.3 | 1 0 3 |
| 33.73 | 28.6 | 2 1 1 |
| 34.61 | 18.7 | 0 2 2 |
| 40.65 | 31.3 | 2 2 0 |
| 53.93 | 22.7 | 3 2 1 |
| 58.68 | 48.7 | 2 2 4 |

Cell: 6.1905 6.3691 8.9231 Å, 90.00 90.00 90.00°
Space group Imma (No. 74)
Unique sites:
Mn1 0.0000 0.2500 0.1252 [4 per cell]
Cr1 0.2500 0.2500 0.7500 [4 per cell]
In1 0.0000 0.0000 0.5000 [4 per cell]
O1 0.0000 0.0331 0.7465 [8 per cell]
O2 0.2386 0.2500 0.5203 [8 per cell]
└──
## Job
The reader should write out the listing above from the line with "0.618 x2" to the end exactly.
## Here it is
O 0.063 0.217 0.618 x2
O 0.085 0.661 0.259 x2
O 0.104 0.127 0.159 x2
O 0.193 0.821 0.064 x2
O 0.199 0.998 0.900 x2
O 0.212 0.510 0.564 x2
O 0.220 0.513 0.091 x2
O 0.238 0.904 0.425 x2
O 0.302 0.710 0.748 x2
O 0.314 0.455 0.329 x2
O 0.360 0.777 0.292 x2
O 0.419 0.229 0.413 x2
O 0.443 0.493 0.817 x2
O 0.456 0.089 0.119 x2
O 0.495 0.737 0.041 x2

Most intense lines, 15° ≤ 2θ ≤ 90°, sorted by position:
5.311 Å, I = 81, hkl 0 1 2; 3.913 Å, I = 84, hkl 0 2 2; 3.701 Å, I = 100, hkl 2 1 1; 3.035 Å, I = 60, hkl 1 2 -2; 2.924 Å, I = 80, hkl 2 -2 0; 2.270 Å, I = 61, hkl -2 3 2



[2]
Starting from the GGA-PBE geometry in the Materials Project, the X-ray diffraction stick pattern of NdH3C3O6 was computed for Cu Kα.
Peak positions follow from Bragg's law for the DFT cell and can differ from measured ones.

Atomic structure:
Cell lengths 10.7002, 10.7002, 4.1224 Å; angles 90.00, 90.00, 120.00 degrees
Space group R3m (No. 160, hexagonal axes)
One atom of each set of equivalent atoms:
Nd 0.0000 0.0000 0.0000 x3
H 0.1720 0.3441 0.2066 x9
C 0.0270 0.5135 0.1274 x9
O 0.0848 0.1696 0.5050 x9
O 0.1995 0.3989 0.6858 x9

Most intense lines, 15° ≤ 2θ ≤ 90°, sorted by position:
5.350 Å, I = 100, hkl 1 1 0; 3.766 Å, I = 31, hkl 1 0 1; 3.082 Å, I = 45, hkl 0 2 1; 2.672 Å, I = 78, hkl 2 2 0; 2.181 Å, I = 29, hkl 1 3 1; 2.021 Å, I = 26, hkl 4 0 1



[3]
Starting from the GGA-PBE geometry in the Materials Project, the X-ray diffraction stick pattern of NdHCO4 was computed for Cu Kα.
Peak positions follow from Bragg's law for the DFT cell and can differ from measured ones.

Atomic structure:
Cell lengths 4.991, 7.337, 8.664 Å; angles 90.00, 90.00, 90.00 degrees
Space group P2_12_12_1 (No. 19)
One atom of each set of equivalent atoms:
Nd 0.002 0.108 0.164 x4
H 0.105 0.747 0.027 x4
C 0.001 0.554 0.676 x4
O 0.001 0.957 0.699 x4
O 0.008 0.290 0.388 x4
O 0.222 0.098 0.891 x4
O 0.228 0.598 0.613 x4

Most intense lines, 15° ≤ 2θ ≤ 90°, sorted by position:
4.326 Å, I = 100, hkl 1 0 1; 3.728 Å, I = 72, hkl 0 1 2; 3.378 Å, I = 36, hkl 0 2 1; 2.956 Å, I = 52, hkl 1 2 0; 2.366 Å, I = 38, hkl 1 1 3; 2.075 Å, I = 45, hkl 2 1 2


Diffraction record for MnCrInO4. The powder diffraction line list is calculated, not measured: it uses a GGA+U-relaxed structure and Cu Kα (weighted mean of Kα1 and Kα2).

The 10 most intense peaks (2θ = 10–80°), in order of rising 2θ:
| two_theta | I_rel | h k l |
| --- | --- | --- |
| 17.44 | 55.3 | 1 0 1 |
| 28.36 | 18.1 | 1 1 2 |
| 28.84 | 18.5 | 2 0 0 |
| 33.20 | 100.0 | 1 2 1 |
| 33.42 | 43.3 | 1 0 3 |
| 33.73 | 28.6 | 2 1 1 |
| 34.61 | 18.7 | 0 2 2 |
| 40.65 | 31.3 | 2 2 0 |
| 53.93 | 22.7 | 3 2 1 |
| 58.68 | 48.7 | 2 2 4 |

Cell: 6.1905 6.3691 8.9231 Å, 90.00 90.00 90.00°
Space group Imma (No. 74)
Unique sites:
Mn1 0.0000 0.2500 0.1252 [4 per cell]
Cr1 0.2500 0.2500 0.7500 [4 per cell]
In1 0.0000 0.0000 0.5000 [4 per cell]
O1 0.0000 0.0331 0.7465 [8 per cell]
O2 0.2386 0.2500 0.5203 [8 per cell]